[Work order]
It remains to count the lines further below that contain the word "eV" and give the number alone.

[Entries]
'''
Density functional theory data (ωB97M-V/def2-TZVPD) for a molecular structure, C15H23OS2Si.

Structure (ORCA input):
```
! RIJCOSX wB97M-V def2-TZVPD def2/J DEFGRID3
* xyz 1 1
C 2.44 2.36 1.50
Si 2.50 0.57 1.00
C 2.04 0.40 -0.79
C 4.18 -0.12 1.38
O 1.38 -0.31 1.98
C 0.19 -0.89 1.77
C 0.19 -2.33 1.71
C -0.88 -0.01 1.41
C -1.87 -0.44 0.49
C -2.74 0.49 -0.09
C -2.67 1.84 0.26
C -1.70 2.27 1.18
C -0.83 1.37 1.75
H 3.23 2.84 0.89
H 1.48 2.84 1.28
H 2.67 2.50 2.56
H 2.80 0.95 -1.38
H 2.04 -0.65 -1.12
H 1.06 0.83 -1.02
H 4.91 0.36 0.71
H 4.47 0.10 2.41
H 4.22 -1.20 1.22
H 0.14 -2.60 0.65
H 1.09 -2.72 2.16
H -1.91 -1.50 0.20
H -3.48 0.16 -0.84
H -3.34 2.57 -0.20
H -1.61 3.32 1.44
H -0.05 1.70 2.45
C -1.76 -6.96 1.98
C -1.30 -6.07 0.84
S 0.01 -4.95 1.39
C -0.80 -3.87 2.45
S -1.27 -4.76 3.82
C -2.29 -6.14 3.15
H -2.54 -7.62 1.61
H -0.92 -7.57 2.34
H -0.86 -6.64 0.01
H -2.09 -5.43 0.46
H -1.21 -2.82 2.32
H -3.24 -5.67 2.87
H -2.44 -6.78 4.03
*
```

Values from the calculation:
LUMO level = -5.5 eV
E_tot = -1746.10004 Ha
Molecular weight = 311.57 u
Gap between HOMO and LUMO = 0.192 hartree


Density functional theory data (ωB97M-V/def2-TZVPD) for a molecular structure, C15H24BrCdN8O2.

Structure (ORCA input):
```
! RIJCOSX wB97M-V def2-TZVPD def2/J DEFGRID3
* xyz 1 1
Cd 0.02 0.00 0.21
N -1.73 1.63 0.20
C -2.76 1.10 1.09
C -3.24 -0.26 0.58
N -2.15 -1.22 0.43
C -2.10 -2.29 1.43
C -1.12 -1.97 2.56
N 0.24 -1.92 2.02
H -1.46 2.56 0.50
H -2.14 1.72 -0.73
H -3.63 1.77 1.15
H -2.34 1.00 2.10
H -3.71 -0.09 -0.38
H -4.00 -0.64 1.27
H -2.20 -1.62 -0.50
H -1.79 -3.22 0.95
H -3.09 -2.45 1.87
H -1.23 -2.74 3.34
H -1.35 -1.00 3.00
H 0.54 -2.87 1.77
H 0.88 -1.60 2.75
N 0.20 -2.19 -1.98
N -0.67 -2.59 -3.01
C -1.65 -1.78 -3.47
N -2.22 -2.09 -4.63
N -1.95 -0.73 -2.72
N -2.94 0.11 -3.05
O -3.01 1.10 -2.35
O -3.71 -0.13 -3.96
H 1.01 -1.72 -2.38
H 0.50 -3.01 -1.46
H -0.37 -3.33 -3.65
H -1.93 -2.88 -5.18
H -3.03 -1.54 -4.90
Br 0.36 1.43 2.90
C 2.02 2.15 2.26
C 2.58 3.09 3.08
C 3.82 3.65 2.77
C 4.48 3.21 1.66
C 3.92 2.24 0.81
C 4.66 1.79 -0.31
C 4.15 0.84 -1.13
C 2.85 0.34 -0.91
C 2.07 0.74 0.15
C 2.63 1.68 1.07
H 2.06 3.40 3.98
H 4.25 4.39 3.43
H 5.46 3.60 1.42
H 5.64 2.22 -0.49
H 4.72 0.49 -1.98
H 2.48 -0.39 -1.62
*
```

Values from the calculation:
LUMO level = -2.6 eV
E_tot = -3915.96825 Ha
Molecular weight = 540.73 u
Gap between HOMO and LUMO = 0.288 hartree


Density functional theory data (ωB97M-V/def2-TZVPD) for a molecular structure, C15H24BrNO3PtS3.

Structure (ORCA input):
```
! RIJCOSX wB97M-V def2-TZVPD def2/J DEFGRID3
* xyz 4 5
Pt 0.26 -0.74 0.65
C -0.68 -3.75 1.05
C -0.14 -3.43 2.44
S -0.06 -1.63 2.78
C 1.60 -1.41 3.47
C 2.74 -1.79 2.54
S 2.61 -0.97 0.91
C 2.89 -2.33 -0.26
C 1.88 -3.47 -0.18
S 0.15 -2.90 -0.33
H -1.73 -3.47 0.95
H -0.62 -4.83 0.86
H 0.84 -3.87 2.62
H -0.82 -3.85 3.19
H 1.65 -1.99 4.40
H 1.64 -0.36 3.75
H 2.79 -2.87 2.37
H 3.69 -1.48 2.96
H 3.90 -2.71 -0.09
H 2.89 -1.86 -1.24
H 1.98 -4.06 0.73
H 2.05 -4.15 -1.02
O -0.28 0.89 -1.21
O -1.32 1.18 -1.96
Br 1.07 6.77 3.41
C 1.91 5.53 2.41
C 3.13 5.81 1.76
C 3.70 4.80 1.04
C 3.05 3.55 0.99
N 1.88 3.25 1.59
C 1.32 4.22 2.28
H 3.59 6.79 1.84
H 4.64 4.93 0.52
H 3.51 2.74 0.43
H 0.39 4.02 2.80
C -4.11 0.86 -4.50
C -5.52 0.41 -4.03
C -5.21 -0.52 -2.88
O -3.80 -1.02 -3.22
C -3.26 -0.23 -4.01
H -3.81 1.83 -4.07
H -3.98 0.96 -5.58
H -6.04 -0.09 -4.84
H -6.13 1.25 -3.70
H -5.81 -1.42 -2.79
H -5.09 -0.03 -1.92
H -2.30 -0.55 -4.42
H -1.02 1.98 -2.45
*
```

Values from the calculation:
LUMO level (spin up / spin down) = -11.1 / -14.1 eV
E_tot = -4752.60518 Ha
⟨S²⟩ = 6.034
Molecular weight = 637.54 u
Gap between HOMO and LUMO (spin up / spin down) = 0.322 / 0.255 hartree


Density functional theory data (ωB97M-V/def2-TZVPD) for a molecular structure, C15H24CuO8S.

Structure (ORCA input):
```
! RIJCOSX wB97M-V def2-TZVPD def2/J DEFGRID3
* xyz 0 2
Cu -1.00 -0.06 -0.30
C -2.78 -3.45 -0.17
O -2.95 -2.20 -0.89
C -4.29 -1.71 -0.88
C -4.20 -0.29 -1.32
O -3.39 0.45 -0.36
C -3.58 1.90 -0.42
C -3.08 2.60 0.81
'''

[Solution]
3